Are You Ready To Publish?

26th April, 2023

5 min read

Are You Ready To Publish?

Are You Ready To Publish?

Written by:

Troubador Publishing

If you�re reading this, it�s likely that you have a finished manuscript and now you�re eager for the next steps. However, the big question is: are you ready to publish? Is your book publishable? There�s a huge difference between having a completed manuscript (a word doc on which you�ve proudly placed that final piece of punctuation) and a pub-ready manuscript (a finely tuned, thoroughly checked book). The difference comes down to editing � really excellent editing, both by you and outside book editing services.

The Self-Edit

The best gift you can give your book is an in-depth edit � and you, as author, should be the first person to do so. You know this book inside out and you have its best interests at heart. But before you do, take time away from the screen. Have a break; create distance, both literally (step away from your laptop!) and metaphorically. The aim is to edit with fresh eyes, as though you�re looking at your manuscript for the very first time. When you�ve gained that crystal clear perspective, delve into the edit. One of the main things to remember is that consistency is key. This usually falls into two branches: Consistency in style � this would mean, for example, that you are using the same quote marks (either single or double) for speech throughout; that a text break is indicated by the same device (a single asterisk, triple asterisk or a line break); italicisation is used consistently (book titles, thought etc.); and chapter titles are in a uniform pattern. In short, the style of your book is identical throughout. Consistency in writing � this includes ensuring character names are consistent (you�d be surprised by how many authors change a name or a gender in the middle of the book, and then back again!), locations are spelt correctly and identically, and that timings don�t jump around. Do basic checks to avoid silly/unnecessary mistakes. Don�t overlook a basic check! The ever-faithful spellcheck function will often highlight a rogue error even when you think the edit is steadfastly spot-on. Similarly, checking for missing punctuation, such as at the end of a piece of dialogue or a paragraph, is a crucial but often overlooked check. These kinds of mistakes can be both easy to miss, but also glaringly obvious to the reader. Just a bit more time spent on simple, basic checks make a world of difference. Macro your manuscript! For more of a thorough edit, macros provide incredible checks on Word and can be done from home. Not sure what a macro is? They�re �one-click wonders� that run complex checks on the whole document in, you guessed it, one click. For example: looking for mismatched speech marks, or for word pairs that aren�t styled the same (humankind and human kind), or inconsistencies in number usage (ten and 10). Macros can seem daunting at first, but, once used, are an absolute game changer. If you are looking for a more structured and professional way to self-edit your work, Jericho writers have an excellent course, Self-editing course for writers, that is well worth exploring as a way of getting your manuscript ship-shape and ready for submission. Head here to read more.

The Outside Edit

Once your self-edit is complete, the next step is an outside edit by one of the many available book editing services. As much as you love your manuscript, and as much as you think you�ve filtered out those final errors and inconsistencies, and however many family members have taken a glance at it, it is essential to get an outside professional source to look at it for you. And there are plenty of brilliant book editing services out there to do so. Beta readers � these are �test� readers, who evaluate your work and provide invaluable feedback from the viewpoint of an average reader. Beta readers may not always be professional editors or critics, but they should be avid readers, interested in the publishing world, and ideally will be members of your target audience. Opinionated edit � an objective, realistic edit in which a professional editor will provide feedback on the content of your manuscript: structure, pace, plot, characterisation, whether it suits the target audience and whether there are any areas of concern. They will not rewrite, but will highlight anything that doesn�t work or ring true. Copy-edit/proofread � a professional editor will make your manuscript as �correct� as it can be. A copy-edit is the more in-depth of the two and acts as a corrective edit that looks for mistakes in spelling, grammar, consistency and style, while a proofread is a final read-through to ensure that there are no remaining errors. A proofread tends to be done at the later stages of the publishing process, after typesetting, as a last chance to pick out any sneaky errors. If in doubt, get a copy-edit � it will always be beneficial.

Final Pre-Submission Checklist:

The above edits will ensure your manuscript is tip-top, in shape and publishable, but here are some additional extras to pop in your submission package: 1. Create a short, interesting synopsis that encapsulates the main themes and messages of the book � it should grab the reader and leave them wanting more. 2. An author bio is a great way to introduce yourself and provide background info on the person behind the pages � which is always of interest. 3. Format the word doc so it looks more professional. Nothing special; simply adding page numbers, using 1.5 spacing and a classic font to your word document makes a big difference. 4. It might sound simple but don�t forget to include your contact details � and if you have social media for your writing, include those, too.

## What comes next are records of molecules, not part of the page
<<<
{"formula": "C12H16Cl3F3NO15V", "method": "ωB97M-V/def2-TZVPD", "homo_ha": [-0.4825, -0.4825], "lumo_ha": [-0.268, -0.251], "largest_force_ev_per_a": 3.76, "charge": 1, "multiplicity": 4, "energy_ev": -116293.81545, "s_squared": 3.758, "species": ["V", "Cl", "O", "O", "O", "O", "C", "N", "O", "O", "H", "H", "H", "C", "C", "O", "C", "O", "O", "F", "H", "H", "H", "C", "C", "O", "C", "O", "O", "F", "H", "H", "H", "C", "C", "O", "C", "O", "O", "F", "H", "H", "H", "Cl", "C", "C", "Cl", "H", "H", "H", "H"], "positions_angstrom": [[2.028, -2.011, 3.356], [1.224, -0.022, 1.245], [0.863, 1.304, 1.626], [1.074, -0.257, -0.148], [2.574, -0.323, 1.680], [0.361, -0.945, 2.011], [-1.910, -4.135, 3.705], [-0.705, -4.388, 2.852], [0.218, -3.574, 2.810], [-0.720, -5.423, 2.250], [-2.646, -3.623, 3.089], [-1.656, -3.578, 4.601], [-2.292, -5.116, 3.966], [-1.253, 3.555, 4.486], [-0.406, 4.272, 3.460], [0.850, 4.300, 4.149], [0.910, 3.155, 4.888], [1.902, 2.765, 5.417], [-0.316, 2.641, 5.065], [-0.889, 5.556, 3.377], [-2.080, 3.001, 4.048], [-1.624, 4.237, 5.248], [-0.244, 3.908, 2.447], [-1.020, -1.556, -3.644], [-1.260, -1.708, -2.172], [-0.367, -2.714, -1.775], [-0.195, -3.517, -2.869], [0.274, -4.599, -2.823], [-0.548, -2.862, -3.990], [-2.548, -2.093, -1.913], [-0.245, -0.815, -3.847], [-1.889, -1.239, -4.214], [-1.056, -0.825, -1.570], [2.563, -0.155, -3.366], [3.698, 0.486, -4.207], [3.677, -0.321, -5.338], [3.227, -1.554, -4.974], [3.225, -2.494, -5.685], [2.772, -1.507, -3.693], [4.875, 0.394, -3.541], [1.612, 0.213, -3.757], [2.724, 0.115, -2.327], [3.485, 1.536, -4.390], [-2.757, 3.017, 1.368], [-1.955, 2.968, -0.226], [-2.570, 1.941, -1.130], [-2.080, 2.223, -2.837], [-0.885, 2.911, -0.047], [-2.140, 3.963, -0.631], [-3.651, 1.940, -1.203], [-2.227, 0.952, -0.829]]}

=====

A molecular structure, C35H22Cl3N7O3S2SeV. Source: OMol25; level of theory: ωB97M-V with the def2-TZVPD basis set.

Last column: Mulliken charge in e.
Positions of all 74 atoms, in Å:
H  -4.198  -0.649  2.770  0.4475
C  1.032  2.360  -1.719  0.2458
C  3.079  1.733  2.055  0.5199
H  -2.551  1.702  1.042  0.5848
C  4.201  -3.016  0.668  -0.6281
N  -1.351  -0.854  0.846  0.2823
H  -2.946  -0.084  -3.045  0.3344
O  -1.122  -0.277  -1.829  -0.6905
H  -2.875  -4.684  -4.951  0.3997
C  -2.437  -1.894  2.920  -0.0578
C  -3.928  -1.478  -4.355  -0.9552
H  4.800  2.666  3.164  0.3960
C  1.748  3.165  -2.624  0.3551
C  -1.888  -3.307  -3.590  0.2663
V  0.011  0.142  -0.253  -0.8219
C  -1.633  4.702  -0.173  -0.5830
C  3.669  -4.290  0.054  -0.5149
Cl  3.777  3.094  5.608  -0.2258
O  1.217  0.410  1.320  0.1133
C  3.008  2.393  4.337  0.7783
N  1.368  1.044  -1.569  0.9054
C  -1.966  2.454  0.525  -0.4289
N  -0.045  -2.311  -1.638  -1.0975
N  -0.127  6.387  -2.039  -0.8494
C  -3.873  -2.781  -4.828  -0.2191
C  -4.195  -1.846  4.566  -0.6998
H  4.931  -2.508  0.006  0.2654
H  2.560  -0.561  -2.171  0.2768
C  0.180  5.113  -1.882  0.8252
H  -0.363  -3.621  -2.543  0.7193
>>>

Troubador Publishing's Book Editing Services

For any author looking for an outside editor, Troubador - - can certainly help. We offer a range of high-quality book editing services from a team of professional editors, to suit any need and any book. All initial quotations include the cost for a copy-edit and/or proofread by an editor based on word count � further information can be found here. If a more detailed edit is required, sister company Indie-Go - - offers a fantastic opinionated editing service, in which an editor offers an objective, feedback-heavy view of your manuscript, in addition to a copy-edit. Please do get in touch � we�d love to hear from you.